Yes, another one. That’s the reality of this weird time we’re living in. Whether you’re only following your local news, social media, all the headlines, or just getting updates from your neighbor, by now it’s absolutely impossible to escape it.
Misplaced quantum chemistry results =
'''
[1]
C3H3FHoO | ωB97M-V/def2-TZVPD

Geometry as XYZ:
```
9
Properties=species:S:1:pos:R:3
H -0.973 0.079 -1.565
H -1.708 -1.250 -0.538
C 0.223 -0.690 -0.002
H 0.243 -1.912 -0.253
Ho 1.676 2.093 -0.591
O -0.320 1.535 2.619
F 1.547 -0.391 -0.381
C -0.797 -0.768 -0.900
C 0.110 1.304 1.611
```

## Properties
* electronic energy: -33680.4333 eV
* HOMO (alpha / beta): -25.317 / -22.779 eV
* maximum force: 5.44 eV Å⁻¹
* net charge: +3
* energy relative to the best compared isomer or geometry (same formula, charge and spin): 12.6 kJ/mol
* multiplicity: 5

These are the Löwdin partial charges, in e, on atoms 1 to 5: H 0.16; H 0.17; C -0.03; H 0.31; Ho 1.84

=====

[2]
C11H40B2FeO13S2 | ωB97M-V/def2-TZVPD

Geometry as XYZ:
```
69
Properties=species:S:1:pos:R:3
O -1.163 -3.690 -2.435
C 0.791 3.888 -1.572
H 0.009 2.940 0.193
H -3.110 -1.836 1.770
B -3.071 2.395 -0.528
H 1.168 -3.118 0.951
O 3.107 0.908 2.833
H 4.745 -1.995 1.500
S -4.277 -1.637 -1.366
H -0.169 3.881 -2.095
H 3.057 0.411 2.001
H 4.862 -3.185 0.218
H 1.493 2.701 -3.221
C -2.237 -2.405 2.086
H 2.501 3.011 4.064
H 4.984 -1.445 -0.138
S -2.673 0.833 -4.113
H -1.538 -2.899 -2.005
O 2.538 -0.805 0.631
H 0.086 0.001 4.094
O -5.183 -1.567 -2.490
H -2.876 1.507 0.235
H 2.214 1.730 5.276
H -2.306 2.283 -1.434
O -2.459 2.061 -4.871
C 1.101 -0.127 3.704
H -2.907 3.468 0.027
C 1.766 1.157 3.259
O -4.489 -2.814 -0.529
C 4.465 -2.198 0.459
H -1.367 -1.947 1.608
H -1.707 -0.345 0.278
C 1.839 2.199 4.358
H 0.544 -4.102 -3.486
H -0.490 -1.043 -1.058
H 2.585 -4.147 0.917
H -0.719 0.884 -0.808
H 2.660 2.840 -1.924
H 1.245 5.772 -1.302
C 2.975 -2.116 0.288
H 1.432 3.870 0.538
H 2.432 -2.927 2.207
H 0.210 -0.158 0.590
O -1.511 0.559 -3.168
O -4.234 -0.360 -0.531
H -0.093 4.711 0.198
H 2.682 -2.260 -0.757
H 1.218 1.570 2.404
B -0.658 -0.162 -0.250
O -2.422 -3.739 1.634
C 0.530 3.858 -0.088
O -3.719 0.989 -3.021
C 0.085 -3.271 -2.942
H -0.044 -2.407 -3.602
H -1.650 -4.245 1.899
H 1.615 -0.708 0.312
H 1.176 1.794 -1.774
O 1.503 5.106 -1.943
O -2.818 -1.541 -1.807
Fe -2.496 0.411 -1.398
O -3.027 -0.309 -4.937
H 1.672 -0.624 4.497
H 0.767 -2.990 -2.124
H 0.996 -0.823 2.871
H 0.846 2.578 4.607
C 1.592 2.735 -2.134
C 2.241 -3.134 1.152
H -2.140 -2.340 3.180
H -4.177 2.368 -0.992
```

## Properties
* electronic energy: -96081.0421 eV
* HOMO (alpha / beta): 0.058 / 0.160 eV
* maximum force: 2.25 eV Å⁻¹
* net charge: -3
* multiplicity: 6

These are the Löwdin partial charges, in e, on atoms 1 to 5: O -0.13; C -0.46; H 0.07; H 0.08; B -0.41

=====

[3]
C37H53OPdSb2Si3 | ωB97M-V/def2-TZVPD

Geometry as XYZ:
```
97
Properties=species:S:1:pos:R:3
H 3.252 -0.350 -4.727
C 1.449 -2.504 1.711
C 0.656 -0.769 4.144
H -3.814 1.949 1.404
C 0.284 -3.768 -1.891
H 0.674 -6.227 2.634
C 1.710 0.089 3.435
H 0.919 -4.446 -1.313
Si -1.028 -0.329 -2.729
H -6.059 1.300 0.652
H 0.401 -2.621 -4.941
C -1.250 4.584 3.464
H -0.506 -3.428 -1.226
C -3.021 -0.055 1.357
C 3.320 2.527 1.859
C -2.770 1.673 -2.076
H -0.496 -2.527 0.829
C 2.382 -3.309 2.369
'''
What does that change for this blog? Nothing except maybe more posts as we sequester ourselves and try to remain healthy while still meeting the needs of our family. This time is completely unprecedented and so very strange — I imagine that is the sentiment you, dear reader, feel as well.

Initially speaking, there are a lot of changes that haven’t affected us much: I stay home with my girls, and until January when my oldest began 4-day morning pre-K, both were home with me. Now that schools are closed in North Carolina until at least May 15, I’m back to full time stay at home parenting. Good thing I’ve got some experience here!
As an added bonus, our third girl arrived two weeks early! And I do mean bonus: I felt slightly (and quite selfishly) robbed of the joys of the last few weeks of pregnancy with all that’s going on, so having her early cut some of that out. I know it could be worse but I’m grateful for a healthy babe, a comfortable and safe labor and delivery experience, and a fantastic at-home postpartum recovery. But, it was anxiety-inducing toward the end as far as how the changes with the novel coronavirus, COVID-19, would change or affect our plans. Now that she’s here and home safe in our arms, it’s easier to hunker down for the foreseeable future. My husband is on paternity leave and my mom has been with us since the third week in March, so we are well cared for, but it’s also hard having a new baby knowing that the rest of our family and friends likely won’t meet her in person until she’s a few months old.
There are currently 304 cases in our county, and the news is calling for the apex of the death toll in the next week or so, and it’s all just so very weird. We have no sick contacts, but we have friends who have lost their jobs, whose jobs have been furloughed, whose hours and pay have been cut. Our friend recently died from gallbladder cancer and we are grieving his loss, grieving for his wife and kids, and yet feel helpless because of the stay-at-home restrictions in place. We could break the rules, too, but there’s the fear of infecting someone vulnerable or becoming infected ourselves, too, that keeps us inside.
My children are incredibly resilient. My just-turned-5-year-old and her almost-3-year-old sister began sharing a room in early March, and they have been getting along wonderfully. They play together, invent together, imagine together, and most importantly, sleep well together. That has made the transition much easier, even though some of their pretend play involves needing masks to go to the grocery store for party supplies. I’ve wanted to keep a journal for them when they get older, but so much of what’s going on right now has me completely mesmerized. I’m constantly stuck between the unsettling fascination of watching all of this unfold, and the fear of the unknown, and the frustration of lack of control, and the anxiety of our leadership not functioning cohesively for the good of the general public. All of it has culminated in a feeling of limbo given the unprecedented nature of this whole ordeal.
Calculated molecules, kept here for reference.
........
{"formula": "C29H38AuCl4N5O3SSi", "method": "wB97M-V/def2-TZVPD", "elements": ["Au", "C", "Si", "C", "C", "N", "C", "C", "C", "C", "C", "C", "H", "H", "H", "H", "H", "H", "H", "H", "H", "H", "H", "H", "H", "H", "Cl", "C", "C", "C", "C", "C", "C", "N", "C", "C", "N", "C", "O", "C", "C", "C", "Cl", "S", "C", "C", "C", "Cl", "C", "H", "H", "H", "H", "H", "H", "H", "H", "H", "H", "H", "H", "H", "Cl", "C", "C", "O", "O", "H", "H", "N", "C", "C", "N", "H", "H", "H", "H", "H", "H", "H", "H", "H"], "xyz": [[-1.61520, 0.60079, 0.44579], [-6.28464, -0.81845, 1.01366], [-5.00298, 0.51111, 1.16865], [-5.42079, 2.04372, 0.21928], [-4.64096, 0.94952, 2.93737], [-3.47164, -0.22464, 0.53158], [-3.32389, -1.14515, -0.42888], [-4.15764, -1.17274, -1.59929], [-3.94428, -2.10898, -2.56877], [-2.91263, -3.05769, -2.41500], [-2.08378, -3.06447, -1.29613], [-2.27589, -2.12315, -0.30937], [-6.99552, -0.72544, 1.83737], [-5.85176, -1.82051, 1.06343], [-6.84369, -0.73264, 0.07969], [-6.40127, 2.41249, 0.53582], [-5.46285, 1.86909, -0.85874], [-4.68042, 2.81828, 0.42133], [-5.57495, 1.10144, 3.48392], [-4.08966, 1.89513, 2.97696], [-4.08131, 0.16454, 3.45347], [-4.93398, -0.42404, -1.70519], [-4.56067, -2.12378, -3.45721], [-2.77158, -3.81033, -3.18096], [-1.32244, -3.82560, -1.18856], [-1.69400, -2.13751, 0.60486], [5.34746, -5.94888, -5.14470], [4.93114, -4.60753, -4.14341], [5.80573, -3.54146, -4.01083], [5.45627, -2.47267, -3.20068], [4.24638, -2.44604, -2.51591], [3.87241, -1.26379, -1.64681], [2.96637, -0.30214, -2.40881], [2.06127, 0.44757, -1.52979], [2.13832, 1.78854, -1.24486], [1.09950, 2.06846, -0.41903], [0.40473, 0.89947, -0.17424], [1.01525, -0.05555, -0.86465], [4.99647, -0.52158, -1.23438], [5.62437, -1.03809, -0.05722], [4.69996, -1.06742, 1.12388], [4.21764, 0.04190, 1.74692], [4.63841, 1.66909, 1.41511], [3.13211, -0.33822, 3.01732], [3.28957, -2.01687, 2.71769], [4.14835, -2.25800, 1.69475], [3.39718, -3.53108, -2.67781], [1.84642, -3.55551, -1.85322], [3.71616, -4.61297, -3.47790], [6.75072, -3.55171, -4.53657], [6.13742, -1.64062, -3.08012], [3.32830, -1.62712, -0.76944], [2.37892, -0.83133, -3.15649], [3.59671, 0.42871, -2.91193], [2.91247, 2.41518, -1.65352], [0.82682, 3.01142, 0.02601], [0.73251, -1.09616, -0.90458], [6.47464, -0.38389, 0.12215], [6.00061, -2.04676, -0.25147], [2.77122, -2.73372, 3.33584], [4.41597, -3.25250, 1.36089], [3.03510, -5.44612, -3.58283], [-2.32120, 2.17621, -1.74445], [-1.93052, 3.80408, -1.10353], [-1.76405, 3.82024, 0.41087], [-1.05881, 4.79305, 0.83357], [-2.28153, 2.95229, 1.12456], [-2.75081, 4.46398, -1.37930], [-1.01987, 4.14088, -1.58681], [-0.45011, 4.60635, 3.26319], [-0.89054, 3.29758, 3.81215], [-0.25130, 2.14857, 3.02375], [-1.17494, 1.01727, 2.80031], [-0.83573, 5.37303, 3.80895], [-0.81164, 4.72854, 2.03513], [0.56248, 4.70031, 3.30461], [-1.97188, 3.26275, 3.69396], [-0.66045, 3.23488, 4.87465], [0.64211, 1.77553, 3.51926], [0.06836, 2.53446, 2.05680], [-2.13206, 1.30617, 2.96987], [-0.98196, 0.23028, 3.40799]], "lowdin_charge": [1.00, -0.15, 0.45, -0.16, -0.16, -0.12, -0.39, 0.01, -0.02, 0.02, -0.05, -0.01, 0.05, 0.04, 0.04, 0.05, 0.03, 0.01, 0.05, 0.02, 0.04, 0.12, 0.13, 0.13, 0.11, 0.11, 0.72, -0.66, -0.07, 0.00, -0.20, -0.32, -0.03, -0.03, -0.02, -0.12, -0.08, -0.13, -0.10, -0.13, -0.33, -0.97, 0.69, 0.98, -0.40, -0.14, -0.56, 0.71, -0.12, 0.12, 0.13, 0.11, 0.14, 0.15, 0.14, 0.10, 0.10, 0.14, 0.14, 0.07, 0.13, 0.11, 0.66, -0.40, -0.66, 0.05, -0.08, 0.10, 0.09, 0.09, -0.16, -0.23, 0.00, 0.15, 0.08, 0.14, 0.11, 0.13, 0.11, 0.07, 0.02, 0.10], "e_homo_ev": -13.08, "charge": 2, "homo_lumo_gap_ev": 4.7, "fmax_ha_per_bohr": 0.0230}
........
End of the calculated molecules.
I can’t imagine doing this while working. I can’t imagine doing this with school age children who would miss out on instructional time (the irony of that statement is that until just this January I was fully planning on homeschooling my kids)! I can’t imagine doing this as a single parent. I can’t imagine doing this with a husband who cannot work from home indefinitely. I can’t imagine if my husband were in healthcare right now. And yet one or more of these things is the reality of so many close friends and family.
Our latest birth story will be up soon, along with how this pandemic has reshaped the postpartum experience for me. In the meantime, stay home and stay safe. And since we all have nothing but time on our hands, feel free to leave a comment…this is new for all of us, and I know I can’t be the only one who’s straddling the line between comfort and unsettled!